== Material ==
{"formula": "C31H35N15O7SSn", "method": "wB97M-V/def2-TZVPD", "e_lumo_ev": -0.27, "charge": 0, "homo_ev": -6.96, "gap_ha": 0.24598, "e_tot_ha": -3162.9114, "de_lowest_ev": 1.488, "species": ["Sn", "C", "N", "C", "C", "N", "C", "C", "C", "C", "C", "C", "N", "C", "N", "C", "C", "C", "C", "C", "C", "N", "H", "H", "H", "H", "H", "H", "H", "H", "H", "H", "H", "H", "H", "H", "H", "O", "C", "C", "O", "C", "C", "O", "C", "O", "O", "N", "C", "C", "C", "C", "N", "C", "N", "N", "C", "O", "O", "H", "H", "H", "H", "H", "H", "H", "H", "H", "H", "H", "H", "H", "H", "N", "N", "N", "C", "N", "N", "H", "H", "H", "S", "C", "C", "N", "C", "H", "H", "H"], "positions_angstrom": [[-0.2053, -0.0844, -0.4298], [-3.5375, 1.2939, 0.5910], [-2.2785, 1.9970, 0.4161], [-2.3065, 3.1688, -0.4442], [-1.1065, 3.2768, -1.3433], [-0.3898, 2.3002, -1.8274], [0.5983, 2.9098, -2.6013], [1.6359, 2.3428, -3.3381], [2.4812, 3.1982, -4.0157], [2.3055, 4.5886, -3.9757], [1.2787, 5.1684, -3.2538], [0.4344, 4.2997, -2.5723], [-0.6582, 4.5054, -1.7512], [-3.8816, 0.4581, -0.5950], [-3.2888, 0.5216, -1.7511], [-3.9451, -0.4154, -2.5403], [-3.7319, -0.7677, -3.8699], [-4.5221, -1.7669, -4.4069], [-5.5172, -2.3995, -3.6468], [-5.7547, -2.0476, -2.3299], [-4.9506, -1.0482, -1.7953], [-4.9008, -0.4453, -0.5541], [-4.3785, 1.9710, 0.8023], [-3.4407, 0.6329, 1.4504], [-1.9117, 2.2287, 1.3286], [-2.3606, 4.0932, 0.1445], [-3.1979, 3.1317, -1.0729], [1.7832, 1.2708, -3.3395], [3.3106, 2.7892, -4.5772], [2.9943, 5.2249, -4.5168], [1.1426, 6.2422, -3.2238], [-1.0738, 5.3920, -1.5273], [-2.9571, -0.2781, -4.4462], [-4.3747, -2.0725, -5.4350], [-6.1153, -3.1777, -4.1034], [-6.5323, -2.5277, -1.7495], [-5.3913, -0.7378, 0.2765], [-2.5560, -3.5022, 4.6539], [-2.2119, -2.6835, 3.8319], [-0.8857, -1.9977, 3.7486], [-0.0272, -2.0172, 4.6438], [-0.7761, -1.4042, 2.4291], [-1.9732, -1.6930, 1.6957], [-2.1199, -1.4919, 0.4673], [-2.9989, -2.1981, 2.6358], [-4.2062, -2.1664, 2.4813], [0.2252, -0.7704, 1.9169], [1.3352, 1.8798, 0.6886], [2.6560, 1.2402, 0.8054], [3.7395, 2.1961, 1.3025], [5.0888, 1.5333, 1.5644], [4.9269, 0.3284, 2.4528], [4.1255, 0.6978, 3.6108], [3.0580, 0.0401, 4.0120], [2.2479, 0.5976, 4.9250], [2.7774, -1.1755, 3.5541], [2.9643, 0.6531, -0.5808], [3.9446, 1.0594, -1.1999], [2.1010, -0.2131, -0.9775], [1.3974, 2.6698, 0.0505], [1.0334, 2.2308, 1.5906], [2.5064, 0.3944, 1.4857], [3.3722, 2.7025, 2.2039], [3.8898, 2.9642, 0.5413], [5.7774, 2.2524, 2.0204], [5.5337, 1.2215, 0.6204], [5.8926, -0.0686, 2.7667], [4.4123, -0.4567, 1.9013], [4.2786, 1.6163, 3.9933], [2.4508, 1.4816, 5.3525], [1.4156, 0.1007, 5.1921], [3.2274, -1.5799, 2.7530], [1.8708, -1.5120, 3.7601], [0.8001, -4.5245, 3.2810], [1.1032, -3.9746, 2.0501], [2.2528, -3.3951, 1.7828], [2.0896, -3.0966, 0.4945], [0.9088, -3.5094, 0.0258], [0.2893, -4.0695, 1.0404], [0.9067, -3.8124, 3.9975], [-0.1650, -4.8328, 3.2446], [2.8212, -2.5782, -0.1027], [0.2432, -3.7921, -3.9497], [-1.1585, -4.0241, -2.9929], [-1.3475, -2.9531, -2.1871], [-0.4131, -1.9563, -2.3330], [0.4793, -2.2627, -3.2224], [-1.7406, -4.9279, -3.0629], [-2.1337, -2.8317, -1.4553], [1.3152, -1.6261, -3.4793]], "forces_ev_per_a": [[0.1, 0.0, 0.1], [-0.1, 0.1, 0.0], [0.2, -0.1, 0.1], [0.0, 0.0, 0.0], [0.1, -0.1, -0.1], [0.0, 0.3, 0.0], [-0.1, 0.0, 0.0], [0.0, -0.1, 0.1], [0.0, 0.0, 0.0], [0.0, 0.0, 0.0], [0.0, 0.0, 0.0], [0.1, -0.1, 0.0], [-0.1, 0.1, 0.0], [0.0, -0.1, -0.2], [0.0, 0.2, -0.1], [0.0, -0.1, 0.1], [0.1, -0.1, 0.0], [0.0, 0.0, 0.0], [0.0, 0.0, 0.0], [0.0, 0.0, 0.0], [0.1, 0.0, 0.0], [-0.2, 0.1, 0.1], [0.0, 0.0, 0.0], [0.0, -0.1, 0.1], [0.1, 0.0, -0.1], [-0.1, 0.0, 0.0], [0.0, -0.1, 0.0], [0.0, 0.0, 0.0], [0.0, 0.0, 0.0], [0.0, 0.0, 0.0], [0.0, 0.0, 0.0], [0.0, 0.0, 0.0], [0.0, 0.0, 0.0], [0.0, 0.0, 0.0], [0.0, 0.0, 0.0], [0.0, 0.0, 0.0], [0.2, -0.1, 0.0], [0.0, 0.1, 0.1], [-0.1, 0.0, -0.1], [-0.2, 0.3, -0.7], [0.9, 0.3, 0.3], [-0.1, 0.0, 0.1], [0.2, 0.0, -0.2], [-0.1, 0.1, 0.2], [-0.2, 0.2, 0.0], [0.2, -0.1, 0.0], [-0.2, -0.2, 0.2], [0.1, 0.1, 0.1], [-0.2, 0.2, 0.2], [0.0, 0.2, -0.4], [0.0, 0.3, -0.2], [0.4, -0.2, 0.1], [0.6, 0.1, 0.0], [-0.5, -0.6, 0.1], [0.0, -0.2, -0.1], [0.9, 1.1, 0.4], [-0.1, -0.1, -0.4], [-0.1, -0.2, 0.1], [0.1, 0.0, 0.0], [0.0, 0.0, 0.0], [-0.1, 0.0, 0.0], [0.0, 0.1, -0.1], [0.0, 0.0, 0.0], [-0.1, 0.0, 0.0], [0.0, 0.0, 0.0], [0.0, 0.0, 0.0], [0.0, -0.1, 0.1], [0.1, 0.0, 0.0], [0.0, 0.0, 0.0], [0.0, 0.0, -0.1], [-0.2, -0.2, 0.1], [0.0, -0.1, 0.1], [-1.4, -0.6, 0.2], [0.4, -0.4, 0.1], [-0.1, 0.0, 0.0], [0.0, 0.0, -0.1], [-0.1, -0.1, 0.0], [0.1, 0.0, -0.2], [0.0, 0.1, 0.0], [-0.2, 0.1, 0.0], [0.0, 0.1, 0.0], [0.0, 0.0, 0.0], [0.0, 0.1, 0.0], [0.1, 0.0, 0.0], [0.0, 0.1, 0.0], [-0.1, 0.0, 0.1], [0.0, -0.1, 0.0], [0.0, 0.0, 0.0], [0.0, 0.0, 0.0], [0.0, 0.0, 0.1]]}
== Work order ==
It remains to duplicate every line further above that contains the word "formula".
== Here it is ==
{"formula": "C31H35N15O7SSn", "method": "wB97M-V/def2-TZVPD", "e_lumo_ev": -0.27, "charge": 0, "homo_ev": -6.96, "gap_ha": 0.24598, "e_tot_ha": -3162.9114, "de_lowest_ev": 1.488, "species": ["Sn", "C", "N", "C", "C", "N", "C", "C", "C", "C", "C", "C", "N", "C", "N", "C", "C", "C", "C", "C", "C", "N", "H", "H", "H", "H", "H", "H", "H", "H", "H", "H", "H", "H", "H", "H", "H", "O", "C", "C", "O", "C", "C", "O", "C", "O", "O", "N", "C", "C", "C", "C", "N", "C", "N", "N", "C", "O", "O", "H", "H", "H", "H", "H", "H", "H", "H", "H", "H", "H", "H", "H", "H", "N", "N", "N", "C", "N", "N", "H", "H", "H", "S", "C", "C", "N", "C", "H", "H", "H"], "positions_angstrom": [[-0.2053, -0.0844, -0.4298], [-3.5375, 1.2939, 0.5910], [-2.2785, 1.9970, 0.4161], [-2.3065, 3.1688, -0.4442], [-1.1065, 3.2768, -1.3433], [-0.3898, 2.3002, -1.8274], [0.5983, 2.9098, -2.6013], [1.6359, 2.3428, -3.3381], [2.4812, 3.1982, -4.0157], [2.3055, 4.5886, -3.9757], [1.2787, 5.1684, -3.2538], [0.4344, 4.2997, -2.5723], [-0.6582, 4.5054, -1.7512], [-3.8816, 0.4581, -0.5950], [-3.2888, 0.5216, -1.7511], [-3.9451, -0.4154, -2.5403], [-3.7319, -0.7677, -3.8699], [-4.5221, -1.7669, -4.4069], [-5.5172, -2.3995, -3.6468], [-5.7547, -2.0476, -2.3299], [-4.9506, -1.0482, -1.7953], [-4.9008, -0.4453, -0.5541], [-4.3785, 1.9710, 0.8023], [-3.4407, 0.6329, 1.4504], [-1.9117, 2.2287, 1.3286], [-2.3606, 4.0932, 0.1445], [-3.1979, 3.1317, -1.0729], [1.7832, 1.2708, -3.3395], [3.3106, 2.7892, -4.5772], [2.9943, 5.2249, -4.5168], [1.1426, 6.2422, -3.2238], [-1.0738, 5.3920, -1.5273], [-2.9571, -0.2781, -4.4462], [-4.3747, -2.0725, -5.4350], [-6.1153, -3.1777, -4.1034], [-6.5323, -2.5277, -1.7495], [-5.3913, -0.7378, 0.2765], [-2.5560, -3.5022, 4.6539], [-2.2119, -2.6835, 3.8319], [-0.8857, -1.9977, 3.7486], [-0.0272, -2.0172, 4.6438], [-0.7761, -1.4042, 2.4291], [-1.9732, -1.6930, 1.6957], [-2.1199, -1.4919, 0.4673], [-2.9989, -2.1981, 2.6358], [-4.2062, -2.1664, 2.4813], [0.2252, -0.7704, 1.9169], [1.3352, 1.8798, 0.6886], [2.6560, 1.2402, 0.8054], [3.7395, 2.1961, 1.3025], [5.0888, 1.5333, 1.5644], [4.9269, 0.3284, 2.4528], [4.1255, 0.6978, 3.6108], [3.0580, 0.0401, 4.0120], [2.2479, 0.5976, 4.9250], [2.7774, -1.1755, 3.5541], [2.9643, 0.6531, -0.5808], [3.9446, 1.0594, -1.1999], [2.1010, -0.2131, -0.9775], [1.3974, 2.6698, 0.0505], [1.0334, 2.2308, 1.5906], [2.5064, 0.3944, 1.4857], [3.3722, 2.7025, 2.2039], [3.8898, 2.9642, 0.5413], [5.7774, 2.2524, 2.0204], [5.5337, 1.2215, 0.6204], [5.8926, -0.0686, 2.7667], [4.4123, -0.4567, 1.9013], [4.2786, 1.6163, 3.9933], [2.4508, 1.4816, 5.3525], [1.4156, 0.1007, 5.1921], [3.2274, -1.5799, 2.7530], [1.8708, -1.5120, 3.7601], [0.8001, -4.5245, 3.2810], [1.1032, -3.9746, 2.0501], [2.2528, -3.3951, 1.7828], [2.0896, -3.0966, 0.4945], [0.9088, -3.5094, 0.0258], [0.2893, -4.0695, 1.0404], [0.9067, -3.8124, 3.9975], [-0.1650, -4.8328, 3.2446], [2.8212, -2.5782, -0.1027], [0.2432, -3.7921, -3.9497], [-1.1585, -4.0241, -2.9929], [-1.3475, -2.9531, -2.1871], [-0.4131, -1.9563, -2.3330], [0.4793, -2.2627, -3.2224], [-1.7406, -4.9279, -3.0629], [-2.1337, -2.8317, -1.4553], [1.3152, -1.6261, -3.4793]], "forces_ev_per_a": [[0.1, 0.0, 0.1], [-0.1, 0.1, 0.0], [0.2, -0.1, 0.1], [0.0, 0.0, 0.0], [0.1, -0.1, -0.1], [0.0, 0.3, 0.0], [-0.1, 0.0, 0.0], [0.0, -0.1, 0.1], [0.0, 0.0, 0.0], [0.0, 0.0, 0.0], [0.0, 0.0, 0.0], [0.1, -0.1, 0.0], [-0.1, 0.1, 0.0], [0.0, -0.1, -0.2], [0.0, 0.2, -0.1], [0.0, -0.1, 0.1], [0.1, -0.1, 0.0], [0.0, 0.0, 0.0], [0.0, 0.0, 0.0], [0.0, 0.0, 0.0], [0.1, 0.0, 0.0], [-0.2, 0.1, 0.1], [0.0, 0.0, 0.0], [0.0, -0.1, 0.1], [0.1, 0.0, -0.1], [-0.1, 0.0, 0.0], [0.0, -0.1, 0.0], [0.0, 0.0, 0.0], [0.0, 0.0, 0.0], [0.0, 0.0, 0.0], [0.0, 0.0, 0.0], [0.0, 0.0, 0.0], [0.0, 0.0, 0.0], [0.0, 0.0, 0.0], [0.0, 0.0, 0.0], [0.0, 0.0, 0.0], [0.2, -0.1, 0.0], [0.0, 0.1, 0.1], [-0.1, 0.0, -0.1], [-0.2, 0.3, -0.7], [0.9, 0.3, 0.3], [-0.1, 0.0, 0.1], [0.2, 0.0, -0.2], [-0.1, 0.1, 0.2], [-0.2, 0.2, 0.0], [0.2, -0.1, 0.0], [-0.2, -0.2, 0.2], [0.1, 0.1, 0.1], [-0.2, 0.2, 0.2], [0.0, 0.2, -0.4], [0.0, 0.3, -0.2], [0.4, -0.2, 0.1], [0.6, 0.1, 0.0], [-0.5, -0.6, 0.1], [0.0, -0.2, -0.1], [0.9, 1.1, 0.4], [-0.1, -0.1, -0.4], [-0.1, -0.2, 0.1], [0.1, 0.0, 0.0], [0.0, 0.0, 0.0], [-0.1, 0.0, 0.0], [0.0, 0.1, -0.1], [0.0, 0.0, 0.0], [-0.1, 0.0, 0.0], [0.0, 0.0, 0.0], [0.0, 0.0, 0.0], [0.0, -0.1, 0.1], [0.1, 0.0, 0.0], [0.0, 0.0, 0.0], [0.0, 0.0, -0.1], [-0.2, -0.2, 0.1], [0.0, -0.1, 0.1], [-1.4, -0.6, 0.2], [0.4, -0.4, 0.1], [-0.1, 0.0, 0.0], [0.0, 0.0, -0.1], [-0.1, -0.1, 0.0], [0.1, 0.0, -0.2], [0.0, 0.1, 0.0], [-0.2, 0.1, 0.0], [0.0, 0.1, 0.0], [0.0, 0.0, 0.0], [0.0, 0.1, 0.0], [0.1, 0.0, 0.0], [0.0, 0.1, 0.0], [-0.1, 0.0, 0.1], [0.0, -0.1, 0.0], [0.0, 0.0, 0.0], [0.0, 0.0, 0.0], [0.0, 0.0, 0.1]]}